-- Given --
- - -
This record from OMol25 describes a molecular structure, C31H41BN9OPdS3. The level of theory is ωB97M-V with the def2-TZVPD basis set.

XYZ file:
```
87
Properties=species:S:1:pos:R:3:forces:R:3:lowdin_charge:R:1
Pd -0.36462 -0.48137 -0.12874 0.4196 0.6428 -0.1852 0.5945
C 4.48032 -2.20553 -0.85132 0.0290 -0.0537 -0.0115 -0.0454
C 3.99962 -1.29966 0.23141 -0.0075 0.0411 0.1285 -0.2287
C 4.80238 -0.78461 1.19539 -0.0203 0.0352 -0.1038 0.0847
C 4.28313 0.08824 2.19251 -0.0467 0.0214 0.0215 -0.1893
N 3.02265 0.40813 2.21648 0.0998 0.0506 0.0059 0.1902
N 2.20909 -0.12167 1.28012 -0.0117 -0.0625 -0.0991 0.0251
B 0.76224 0.40060 1.37565 -0.1673 0.0794 0.1487 -0.6806
N 0.73756 1.94552 1.23134 -0.0557 0.0570 -0.2925 -0.0186
N 0.89970 2.64807 2.35507 -0.0256 0.0309 0.0972 0.2033
C 0.95522 3.94765 2.25884 0.0182 -0.0564 0.0873 -0.1850
C 0.87835 4.58718 0.99409 -0.0708 0.0643 -0.1237 0.0870
C 0.68810 3.87557 -0.15207 0.0431 -0.0243 0.1687 -0.2235
C 0.56251 4.48194 -1.50773 -0.0011 0.0675 -0.0466 -0.0393
C 0.57782 2.46879 0.01385 0.0626 -0.2127 0.1593 -0.5708
S 0.23055 1.39545 -1.27483 -0.0242 0.3255 -0.2073 0.7887
C 1.08221 4.75353 3.54016 -0.0523 -0.0066 -0.0458 -0.5463
C -0.14355 5.67346 3.64855 0.0180 0.0267 0.0137 -0.0310
C 2.36330 5.59511 3.47702 0.0200 -0.0024 0.0211 -0.0280
C 1.12871 3.83854 4.76146 -0.0046 -0.0138 0.0418 -0.0508
N -0.03604 0.03652 2.65805 0.0302 -0.1247 -0.1085 -0.0014
N 0.63901 -0.39392 3.71748 -0.0128 -0.0963 0.1408 0.2028
C -0.02049 -0.60976 4.83029 0.0977 0.0077 -0.1042 -0.1786
C -1.40880 -0.35617 4.90386 -0.0750 0.0983 -0.0208 0.0944
C -2.10469 0.09307 3.81602 0.0807 -0.0099 0.0846 -0.2293
C -3.57000 0.37560 3.83649 -0.0294 -0.0012 0.0087 -0.0407
C -1.36104 0.24886 2.62120 0.0463 0.0169 -0.0844 -0.5724
S -2.08245 0.63781 1.09779 0.0289 -0.2055 -0.0306 0.7997
C 0.79855 -1.06825 6.02675 -0.0010 -0.0236 0.0097 -0.5389
C 1.95994 -1.95275 5.56152 0.0357 0.0436 0.0010 -0.0401
C 1.33837 0.19839 6.71157 -0.0099 0.0162 0.0147 -0.0237
C -0.06288 -1.85626 7.01708 0.0361 -0.0438 0.0239 -0.0474
C 2.61905 -0.92703 0.28981 0.0030 -0.0324 0.1047 -0.5279
S 1.54467 -1.51840 -0.88898 0.2123 0.0463 -0.1704 0.8729
C 5.19845 0.66877 3.25550 -0.0221 0.0018 -0.0256 -0.5450
C 6.31143 1.47230 2.57032 0.0200 0.0187 -0.0088 -0.0310
C 5.80677 -0.49264 4.05506 0.0152 0.0063 0.0223 -0.0245
C 4.42182 1.58284 4.19625 0.0161 0.0162 0.0235 -0.0506
H 5.56123 -2.31710 -0.80511 -0.0019 -0.0057 -0.0047 0.0927
H 4.02242 -3.19249 -0.75483 -0.0182 0.0068 0.0003 0.1002
H 4.20323 -1.81862 -1.83323 0.0155 0.0064 -0.0035 0.0873
H 5.86040 -1.01079 1.18977 -0.0080 -0.0557 0.0258 0.1320
H 0.93577 5.66696 0.94704 0.0232 0.0025 -0.0170 0.1321
H 0.54405 5.56764 -1.44664 0.0093 0.0001 -0.0033 0.0921
H 1.40096 4.18352 -2.14024 -0.0110 -0.0225 -0.0043 0.1004
H -0.35014 4.13876 -1.99780 -0.0005 0.0050 0.0015 0.0877
H -0.20769 6.37637 2.81662 0.0023 -0.0018 -0.0050 0.0830
H -1.06729 5.09290 3.67842 -0.0023 -0.0032 -0.0002 0.0933
H -0.08099 6.25842 4.56670 0.0031 -0.0027 0.0019 0.0951
H 2.34776 6.31000 2.65310 -0.0009 -0.0092 -0.0159 0.0836
H 2.47096 6.16466 4.40057 -0.0051 0.0023 0.0015 0.0957
H 3.24575 4.96186 3.36690 0.0000 -0.0042 0.0000 0.0854
H 0.22137 3.23851 4.84505 -0.0130 0.0036 -0.0068 0.0815
H 1.97545 3.15404 4.72578 0.0266 0.0017 -0.0293 0.0608
H 1.21752 4.45161 5.65905 -0.0020 -0.0023 0.0026 0.0960
H -1.93156 -0.52932 5.83425 -0.0157 -0.0061 -0.0045 0.1280
H -4.00768 0.08159 4.78765 -0.0003 0.0123 0.0043 0.0919
H -3.75390 1.44052 3.68113 -0.0004 -0.0008 -0.0151 0.0989
H -4.07742 -0.15451 3.02944 -0.0026 -0.0080 0.0069 0.0821
H 2.55875 -1.45712 4.79861 0.0100 0.0240 0.0152 0.0550
H 2.60211 -2.17753 6.41367 -0.0194 -0.0262 0.0081 0.0933
H 1.59852 -2.89718 5.15079 -0.0118 0.0137 -0.0296 0.0959
H 1.82396 0.85823 5.99233 0.0458 -0.0190 -0.0174 0.0596
H 0.53496 0.75805 7.19554 -0.0109 0.0163 -0.0292 0.0918
H 2.06571 -0.07454 7.47707 -0.0233 -0.0062 0.0216 0.0959
H -0.55509 -2.70462 6.53751 -0.0053 0.0038 -0.0065 0.0987
- - -

-- To do --
Restate only the last part of the data further up, starting with the line that has "2.19251 -0.0467", please.

-- Worked solution --
C 4.28313 0.08824 2.19251 -0.0467 0.0214 0.0215 -0.1893
N 3.02265 0.40813 2.21648 0.0998 0.0506 0.0059 0.1902
N 2.20909 -0.12167 1.28012 -0.0117 -0.0625 -0.0991 0.0251
B 0.76224 0.40060 1.37565 -0.1673 0.0794 0.1487 -0.6806
N 0.73756 1.94552 1.23134 -0.0557 0.0570 -0.2925 -0.0186
N 0.89970 2.64807 2.35507 -0.0256 0.0309 0.0972 0.2033
C 0.95522 3.94765 2.25884 0.0182 -0.0564 0.0873 -0.1850
C 0.87835 4.58718 0.99409 -0.0708 0.0643 -0.1237 0.0870
C 0.68810 3.87557 -0.15207 0.0431 -0.0243 0.1687 -0.2235
C 0.56251 4.48194 -1.50773 -0.0011 0.0675 -0.0466 -0.0393
C 0.57782 2.46879 0.01385 0.0626 -0.2127 0.1593 -0.5708
S 0.23055 1.39545 -1.27483 -0.0242 0.3255 -0.2073 0.7887
C 1.08221 4.75353 3.54016 -0.0523 -0.0066 -0.0458 -0.5463
C -0.14355 5.67346 3.64855 0.0180 0.0267 0.0137 -0.0310
C 2.36330 5.59511 3.47702 0.0200 -0.0024 0.0211 -0.0280
C 1.12871 3.83854 4.76146 -0.0046 -0.0138 0.0418 -0.0508
N -0.03604 0.03652 2.65805 0.0302 -0.1247 -0.1085 -0.0014
N 0.63901 -0.39392 3.71748 -0.0128 -0.0963 0.1408 0.2028
C -0.02049 -0.60976 4.83029 0.0977 0.0077 -0.1042 -0.1786
C -1.40880 -0.35617 4.90386 -0.0750 0.0983 -0.0208 0.0944
C -2.10469 0.09307 3.81602 0.0807 -0.0099 0.0846 -0.2293
C -3.57000 0.37560 3.83649 -0.0294 -0.0012 0.0087 -0.0407
C -1.36104 0.24886 2.62120 0.0463 0.0169 -0.0844 -0.5724
S -2.08245 0.63781 1.09779 0.0289 -0.2055 -0.0306 0.7997
C 0.79855 -1.06825 6.02675 -0.0010 -0.0236 0.0097 -0.5389
C 1.95994 -1.95275 5.56152 0.0357 0.0436 0.0010 -0.0401
C 1.33837 0.19839 6.71157 -0.0099 0.0162 0.0147 -0.0237
C -0.06288 -1.85626 7.01708 0.0361 -0.0438 0.0239 -0.0474
C 2.61905 -0.92703 0.28981 0.0030 -0.0324 0.1047 -0.5279
S 1.54467 -1.51840 -0.88898 0.2123 0.0463 -0.1704 0.8729
C 5.19845 0.66877 3.25550 -0.0221 0.0018 -0.0256 -0.5450
C 6.31143 1.47230 2.57032 0.0200 0.0187 -0.0088 -0.0310
C 5.80677 -0.49264 4.05506 0.0152 0.0063 0.0223 -0.0245
C 4.42182 1.58284 4.19625 0.0161 0.0162 0.0235 -0.0506
H 5.56123 -2.31710 -0.80511 -0.0019 -0.0057 -0.0047 0.0927
H 4.02242 -3.19249 -0.75483 -0.0182 0.0068 0.0003 0.1002
H 4.20323 -1.81862 -1.83323 0.0155 0.0064 -0.0035 0.0873
H 5.86040 -1.01079 1.18977 -0.0080 -0.0557 0.0258 0.1320
H 0.93577 5.66696 0.94704 0.0232 0.0025 -0.0170 0.1321
H 0.54405 5.56764 -1.44664 0.0093 0.0001 -0.0033 0.0921
H 1.40096 4.18352 -2.14024 -0.0110 -0.0225 -0.0043 0.1004
H -0.35014 4.13876 -1.99780 -0.0005 0.0050 0.0015 0.0877
H -0.20769 6.37637 2.81662 0.0023 -0.0018 -0.0050 0.0830
H -1.06729 5.09290 3.67842 -0.0023 -0.0032 -0.0002 0.0933
H -0.08099 6.25842 4.56670 0.0031 -0.0027 0.0019 0.0951
H 2.34776 6.31000 2.65310 -0.0009 -0.0092 -0.0159 0.0836
H 2.47096 6.16466 4.40057 -0.0051 0.0023 0.0015 0.0957
H 3.24575 4.96186 3.36690 0.0000 -0.0042 0.0000 0.0854
H 0.22137 3.23851 4.84505 -0.0130 0.0036 -0.0068 0.0815
H 1.97545 3.15404 4.72578 0.0266 0.0017 -0.0293 0.0608
H 1.21752 4.45161 5.65905 -0.0020 -0.0023 0.0026 0.0960
H -1.93156 -0.52932 5.83425 -0.0157 -0.0061 -0.0045 0.1280
H -4.00768 0.08159 4.78765 -0.0003 0.0123 0.0043 0.0919
H -3.75390 1.44052 3.68113 -0.0004 -0.0008 -0.0151 0.0989
H -4.07742 -0.15451 3.02944 -0.0026 -0.0080 0.0069 0.0821
H 2.55875 -1.45712 4.79861 0.0100 0.0240 0.0152 0.0550
H 2.60211 -2.17753 6.41367 -0.0194 -0.0262 0.0081 0.0933
H 1.59852 -2.89718 5.15079 -0.0118 0.0137 -0.0296 0.0959
H 1.82396 0.85823 5.99233 0.0458 -0.0190 -0.0174 0.0596
H 0.53496 0.75805 7.19554 -0.0109 0.0163 -0.0292 0.0918
H 2.06571 -0.07454 7.47707 -0.0233 -0.0062 0.0216 0.0959
H -0.55509 -2.70462 6.53751 -0.0053 0.0038 -0.0065 0.0987